Note: This certification form is required as part of the registration process for all students.
Date of Birth: : / / `
Name of Student(s):
House #StreetApartment #Zip Code
□ Check here if homeless or living in a shelter
□ Check here to indicate agreement that you will notify school authorities of any change of address without delay
I understand that a student MUST reside in Braintree to attend the Braintree Public Schools. As the adult with whom this student is now residing at the address shown above, I certify that I am the student’s (check one):
□ Parent□Legal Guardian□Other (Please Specify)
If the person with whom the child is living in Braintree has legal custody/guardianship, then with proof of custody/guardianship, the child may continue to attend school at no cost. If the person with whom the child is living in Braintree does not have legal guardianship, we would require the parent to pay tuition to attend Braintree Public School. (Chapter 76, Section 6). Currently the tuition rate is $69.92/day or $12,585.00 annually.
Students found not to be residing at the location specified will not be allowed to attend the Braintree Public Schools.
Signed Under the pains and penalties of perjury:
Parent/Guardian SignatureToday’s Date / / `
-- begin --
one | PuPa2S6 | PBE | relaxed

The space group is C2/m (No. 12) and the conventional cell measures 14.5572, 4.0856 and 9.7826 Å, with angles of 90.00, 105.02 and 90.00 degrees. The asymmetric unit holds Pu at (0.0000, 0.0000, 0.0000), Pa at (0.1618, 0.5000, 0.3310), S at (0.0394, 0.0000, 0.2969), S at (0.1314, 0.5000, 0.0577) and S at (0.2091, 0.5000, 0.6210).

two | PuPa2S6 | PBE | relaxed

The space group is C2/m (No. 12) and the conventional cell measures 13.6578, 5.1349 and 8.8980 Å, with angles of 90.00, 126.87 and 90.00 degrees. The asymmetric unit holds Pu at (0.0000, 0.0000, 0.0000), Pa at (0.1828, 0.0000, 0.6121), S at (0.0373, 0.0000, 0.7176), S at (0.1282, 0.5000, 0.0525) and S at (0.2450, 0.5000, 0.6243).

The relative energies come out as one 0; two 58, with values in meV/atom.

one | PuPaSeS | PBE | relaxed

The space group is F-43m (No. 216) and the conventional cell measures 6.9945, 6.9945 and 6.9945 Å, with angles of 90.00, 90.00 and 90.00 degrees. The asymmetric unit holds Pu at (0.0000, 0.0000, 0.0000), Pa at (0.0000, 0.0000, 0.5000), Se at (0.2500, 0.2500, 0.2500) and S at (0.2500, 0.2500, 0.7500).

two | PuPaSeS | PBE | relaxed

The space group is R3m (No. 160, hexagonal axes) and the conventional cell measures 3.8852, 3.8852 and 21.3419 Å, with angles of 90.00, 90.00 and 120.00 degrees. The asymmetric unit holds Pu at (0.0000, 0.0000, 0.0000), Pa at (0.0000, 0.0000, 0.1833), Se at (0.0000, 0.0000, 0.4246) and S at (0.0000, 0.0000, 0.5941).

The relative energies come out as one 186; two 0, with values in meV/atom.

one | PuPaSb2 | PBE | relaxed

The space group is R3m (No. 160, hexagonal axes) and the conventional cell measures 4.2495, 4.2495 and 23.4661 Å, with angles of 90.00, 90.00 and 120.00 degrees. The asymmetric unit holds Pu at (0.0000, 0.0000, 0.0000), Pa at (0.0000, 0.0000, 0.1691), Sb at (0.0000, 0.0000, 0.4185) and Sb at (0.0000, 0.0000, 0.5850).

two | PuPaSb2 | PBE | relaxed

The space group is P4/mmm (No. 123) and the conventional cell measures 3.7425, 3.7425 and 7.5448 Å, with angles of 90.00, 90.00 and 90.00 degrees. The asymmetric unit holds Pu at (0.0000, 0.0000, 0.0000), Pa at (0.0000, 0.0000, 0.5000) and Sb at (0.5000, 0.5000, 0.2561).

The relative energies come out as one 73; two 0, with values in meV/atom.

one | PuScPa2 | PBE | relaxed

The space group is P4/mmm (No. 123) and the conventional cell measures 4.6374, 4.6374 and 4.4827 Å, with angles of 90.00, 90.00 and 90.00 degrees. The asymmetric unit holds Pu at (0.0000, 0.0000, 0.0000), Sc at (0.5000, 0.5000, 0.0000) and Pa at (0.0000, 0.5000, 0.5000).

two | PuScPa2 | PBE | relaxed

The space group is Fm-3m (No. 225) and the conventional cell measures 7.2229, 7.2229 and 7.2229 Å, with angles of 90.00, 90.00 and 90.00 degrees. The asymmetric unit holds Pu at (0.0000, 0.0000, 0.0000), Sc at (0.0000, 0.0000, 0.5000) and Pa at (0.2500, 0.2500, 0.2500).

three | PuScPa2 | PBE | relaxed
-- stop --
(Here the piece continues)
Before a student is enrolled in the Braintree Public Schools, the parent/legal guardian must provide proof of residency by presenting required documents from each of the columns belowand any other documentsthat may be requested. If you are not able to produce the required documents, you must contact the Superintendent of Schools.
Column A (*Affidavit of Residency and one other)
Evidence of Residency
- Affidavit of Residency – appropriate form signed and notarizedand:
- Record of recent mortgage payment and/or property tax bill
- Copy of lease and record of recent rental payment
- Record of recent rental payment
- Section 8 agreement
Evidence of Occupancy
- Recent bill dated within the past 60 days showing Braintree address:
- Gas bill
- Oil bill
- Electric bill
- Telephone bill
- Cable bill
- Excise tax bill
Evidence of Identification (Photo ID)
- Valid driver’s license
- Valid MA photo id card
- Passport
Should a question arise concerning any student’s residency in the Town of Braintree while attending the Braintree Public Schools, the student’s residency will be subject to further inquiry and/or investigation. Such questions concerning residency may arise on the basis of incomplete, suspicious, or contradictory proofs of address; anonymous tips; correspondence that is returned to the public schools of Braintree because of invalid or unknown address, or other grounds. The Superintendent may request additional documentation, may use the assistance of the School Department’s Safety Officer/Police Officer, and/or may obtain the services of the Police Department to conduct investigations into student residence. The Officer and/or residency investigator will report his/her findings to the Superintendent of Schools, who shall make final determination of residency. Upon initial determination by the Superintendent that a student is actually residing in a city or town other than the Town of Braintree, the student’s enrollment in the Braintree Public Schools shall be terminated immediately.
Updated September 2017